The Thin Man

Screenplay by Albert Hackett and Frances Goodrich
Based on The Thin Man by Dashiell Hammett
Directed by W. S. Van Dyke

Of all the old school detective films I’ve watched (and I’ve watched quite a few), the most enduringly entertaining detective series is by far the Thin Man films, headed by the irreplaceable William Powell and Myrna Loy as Nick and Nora Charles. The married couple quip and drink their way through complicated murder mysteries and have a good time while doing so. The mysteries are top notch, the chemistry between Powell and Loy is legendary, the guest stars put in powerful performances, and there is plenty of danger and gags to keep the fun and excitement at a steady pace.
Nick and Nora Charles have since embedded themselves in pop culture, becoming a mystery archetype with similarly premised shows and films. There is even occasionally the dreaded remake rumors, though nothing will replicate the chemistry of William Powell and Myrna Loy.
The Thin Man films are among the first series of classic films I tracked down and watched the whole sequence of back when I was just starting out as a cinephile (along with the Hope/Crosby/Lamour Road movies and the Marx Brothers), so the films have a nostalgic connection for me. But they’re also pretty darn good regardless of memory enhancement, even if the series begins to drag a bit with the final two films.
As everyone who is anyone knows, the “Thin Man” of the title refers not to Nick Charles, but to the murdered victim, Clyde Wynant. Audiences soon came to refer to Nick Charles as the Thin Man, so the name stuck through all the sequels and the television series. The Thin Man was the last of five novels by Dashiell Hammett, who did story work on the next two Thin Man films (edited versions of these stories were published after his death). Hammett was sick with TB, and focused his career on screenwriting and political activism before joining the Army in World War 2 (having pulled strings to get enlisted). He later was jailed and became a victim of the Hollywood Blacklist due to his left-leanings, and died of lung cancer in 1961.

_Crystal structures from another source follow_
# 1
A plane-wave DFT calculation with PBE was carried out for a relaxed Sc5Cu crystal.

The space-group type is Amm2. The magnetic moment is 0.00 μB per atom. The distance to the lowest polymorph of the same formula is 0.49 eV/f.u. As for the raw total energy: -5.9284 eV/atom. Its energy relative to the elements is 0.031 eV per atom.

a b c (Å): 4.943 8.047 8.047
angles (deg): 24.33 90.00 90.00
Positions (direct):
Sc (0.000, 0.000, 0.000)
Sc (0.000, 0.315, 0.315)
Sc (0.500, 0.194, 0.194)
Sc (0.500, 0.539, 0.539)
Sc (0.500, 0.870, 0.870)
Cu (0.000, 0.655, 0.655)

# 2
A plane-wave DFT calculation with PBE was carried out for a relaxed Te2PtW crystal.

The space-group type is Pmmm. The magnetic moment is 0.00 μB per atom. The distance to the lowest polymorph of the same formula is 3.04 eV/f.u. As for the raw total energy: -5.5079 eV/atom. The uncorrected formation energy is 811 meV per atom.

a b c (Å): 3.326 4.529 5.406
angles (deg): 90.00 90.00 90.00
Positions (direct):
Te (0.000, 0.000, 0.000)
Te (0.500, 0.000, 0.500)
Pt (0.000, 0.500, 0.500)
W (0.500, 0.500, 0.000)

# 3
A plane-wave DFT calculation with PBE was carried out for a relaxed Ca3Sn3Bi2Pd crystal.

The space-group type is P-62m. The magnetic moment is 0.00 μB per atom. As for the raw total energy: -4.0573 eV/atom. Its energy relative to the elements is -0.616 eV per atom.

a b c (Å): 8.109 8.109 4.496
angles (deg): 90.00 90.00 120.00
Positions (direct):
Ca (0.000, 0.616, 0.000)
Ca (0.384, 0.384, 0.000)
Ca (0.616, 0.000, 0.000)
Sn (0.000, 0.226, 0.500)
Sn (0.226, 0.000, 0.500)
Sn (0.774, 0.774, 0.500)
Bi (0.333, 0.667, 0.500)
Bi (0.667, 0.333, 0.500)
Pd (0.000, 0.000, 0.000)

# 4
A plane-wave DFT calculation with PBE was carried out for a relaxed NpHgBr3 crystal.

The space-group type is R-3. The magnetic moment is 0.80 μB per atom. The distance to the lowest polymorph of the same formula is 0.00 eV/f.u. As for the raw total energy: -4.6928 eV/atom. The uncorrected formation energy is -1041 meV per atom.

a b c (Å): 10.784 10.784 10.784
angles (deg): 40.28 40.28 40.28
Positions (direct):
Np (0.167, 0.167, 0.167)
Np (0.833, 0.833, 0.833)
Hg (0.339, 0.339, 0.339)
Hg (0.661, 0.661, 0.661)
Br (0.083, 0.444, 0.808)
Br (0.192, 0.917, 0.556)
Br (0.444, 0.808, 0.083)
Br (0.556, 0.192, 0.917)
Br (0.808, 0.083, 0.444)
Br (0.917, 0.556, 0.192)

# 5

Coming out in 1934, The Thin Man appears right as the Hays Production Code was beginning to get enforced more vigorously. Of the six movies, it has the most dirty jokes and references that the other films could only dream of using. But there is still plenty of things that seem done just to keep people from panicking, such as Nick and Nora sleeping in separate beds (as they do in all six movies!) One wonders just how Nick Jr. was conceived, though they did spend an awful lot of time together in tiny train cars, so there’s that answer!
Nick Charles is a former detective who seems to have worked out of both New York City and San Francisco, and seemingly solved every case that ever happened on both coasts. Thanks to his skills, everyone knows him, from the cops to a colorful cast of characters of the criminal persuasion. You see, Nick is such a gentleman that he gives them all square deals instead of treating them like criminals, and most of them were proud to have been caught by him. Thus, when trouble is afoot, everyone seems to assume he’s going to help crack the case. Everyone except Nick Charles, that is! But that reluctance doesn’t last long, and we’re soon off to the races!
Nora Charles was born into money, a Nob Hill heiress (a neighborhood of San Francisco where the moneyed elite settled in the late 1800s) who married Nick out of love, and because the couple are perfect for each other. Instead of one personality dominating, Nora easily keeps up with Nick with the zingers, and often with the drinking. Nora even tries her hand at detectiving, usually over Nick’s objections. Occasionally she ends up getting into trouble, but Nick is on hand to bail her out (or occasionally she bails him out!), and often she helps find additional clues for the puzzle.
The final main character of the Thin Man features is Asta the dog, a male wire fox terrier. Asta is played by a canine actor named Skippy, who appeared in several other films such as The Awful Truth and Bringing Up Baby. Skippy eventually just became known as Asta. There is conflicting information on how many Thin Man films feature Skippy and how many feature replacement dogs, but the original Asta is for sure in the first two films, and definitely replaced for the last two films. Skippy commanded a huge salary for the time, $250 a week. The Asta on the Thin Man tv series was reportedly a grandchild of the original. In the books, Asta is a female schnauzer. Asta is a mini canine detective of his own, finding clues when out with Nick, though Asta does destroy evidence on at least one notable occasion. Asta has a bark worse than his bite, occasionally being frightened by kittens and hiding during danger. Asta got a family in After the Thin Man, which consists mainly of visual gags and his wife having already found someone who sticks around to be with, culminating with Asta abandoning them for a life of jet-setting with the Charles.

### These materials data were left in the page by mistake
~~~
*P*
# PBE KSc2Br, optimized geometry
# - Fermi-level density of states: 4.1 states/eV per cell
data_KSc2Br
_chemical_formula_sum 'K1 Sc2 Br1'
_symmetry_space_group_name_H-M 'P m m m'
_symmetry_Int_Tables_number 47
_symmetry_space_group_name_Hall '-P 2 2'
_cell_length_a 3.593
_cell_length_b 5.226
_cell_length_c 6.884
_cell_angle_alpha 90.00
_cell_angle_beta 90.00
_cell_angle_gamma 90.00
loop_
_atom_site_label
_atom_site_type_symbol
_atom_site_fract_x
_atom_site_fract_y
_atom_site_fract_z
_atom_site_occupancy
K1 K 0.000 0.000 0.000 1
Sc1 Sc 0.000 0.500 0.500 1
Sc2 Sc 0.500 0.000 0.500 1
Br1 Br 0.500 0.500 0.000 1

*Q*
# PBE KSc2Br, optimized geometry
# - Fermi-level density of states: 15.1 states/eV per cell
data_KSc2Br
_chemical_formula_sum 'K3 Sc6 Br3'
_symmetry_space_group_name_H-M 'R -3 m'
_symmetry_Int_Tables_number 166
_symmetry_space_group_name_Hall '-R 3 2"'
_cell_length_a 3.4976
_cell_length_b 3.4976
_cell_length_c 33.1982
_cell_angle_alpha 90.00
_cell_angle_beta 90.00
_cell_angle_gamma 120.00
loop_
_atom_site_label
_atom_site_type_symbol
_atom_site_fract_x
_atom_site_fract_y
_atom_site_fract_z
_atom_site_occupancy
K1 K 0.0000 0.0000 0.0000 1
Sc1 Sc 0.0000 0.0000 0.2316 1
Br1 Br 0.0000 0.0000 0.5000 1

Least stable of them? *P*.

*P*
# PBE KSc2Br, optimized geometry
# - Fermi-level density of states: 3.9 states/eV per cell
data_KSc2Br
_chemical_formula_sum 'K1 Sc2 Br1'
_symmetry_space_group_name_H-M 'P 4/m m m'
_symmetry_Int_Tables_number 123
_symmetry_space_group_name_Hall '-P 4 2'
_cell_length_a 3.402
_cell_length_b 3.402
_cell_length_c 10.178
_cell_angle_alpha 90.00
_cell_angle_beta 90.00
_cell_angle_gamma 90.00
loop_
_atom_site_label
_atom_site_type_symbol
_atom_site_fract_x
_atom_site_fract_y
_atom_site_fract_z
_atom_site_occupancy
K1 K 0.000 0.000 0.000 1
Sc1 Sc 0.500 0.500 0.326 1
Br1 Br 0.000 0.000 0.500 1

*Q*
# PBE KSc2Br, optimized geometry
# - Fermi-level density of states: 12.2 states/eV per cell
data_KSc2Br
_chemical_formula_sum 'K2 Sc4 Br2'
_symmetry_space_group_name_H-M 'I -4 m 2'
_symmetry_Int_Tables_number 119
_symmetry_space_group_name_Hall 'I -4 -2'
_cell_length_a 4.863
_cell_length_b 4.863
_cell_length_c 10.199
_cell_angle_alpha 90.00
_cell_angle_beta 90.00
_cell_angle_gamma 90.00
loop_
_atom_site_label
_atom_site_type_symbol
_atom_site_fract_x
_atom_site_fract_y
_atom_site_fract_z
_atom_site_occupancy
K1 K 0.000 0.000 0.000 1
Sc1 Sc 0.000 0.000 0.500 1
Sc2 Sc 0.000 0.500 0.750 1
Br1 Br 0.000 0.500 0.250 1

Least stable of them? *Q*.

*P*
# PBE KSc2Br, optimized geometry
# - Fermi-level density of states: 4.7 states/eV per cell
data_KSc2Br
_chemical_formula_sum 'K1 Sc2 Br1'
_symmetry_space_group_name_H-M 'P 1 m 1'
_symmetry_Int_Tables_number 6
_symmetry_space_group_name_Hall 'P -2y'
_cell_length_a 3.583
_cell_length_b 3.486
_cell_length_c 9.975
_cell_angle_alpha 90.00
_cell_angle_beta 100.31
_cell_angle_gamma 90.00
loop_
_atom_site_label
_atom_site_type_symbol
_atom_site_fract_x
_atom_site_fract_y
_atom_site_fract_z
~~~

The Thin Man came out in the heyday of the Great Depression, and Nick and Nora are running around with money to spare, living it up. Films had become a means of escape, and William Powell and Myrna Loy are just so charming together that you don’t mind that they’re rich. Powell previously played an aristocratic detective named Philo Vance in a series of films (the original trailer for The Thin Man has Powell’s Philo Vance introducing Powell’s Nick Charles) Director Woody Van Dyke had to fight to get his cast, using Powell’s prior role as leverage and fighting for Myrna Loy, which meant production had to be rushed so it would finish in time for a film the studio wanted to use Loy for.
Like many good mystery films, the story is not about the mystery so much as the couple and the characters. Thus, Nick and Nora flying zingers back and forth while having a good time and going with the flow make for an engrossing viewing experience, and that’s helped by the strong casts of supporting characters, both humorous and dangerous, and even four-legged such as Asta the dog. Powell and Loy appeared together in 14 films, six of them being Thin Man entries. The couple was so associated with their wonderful chemistry each other onscreen that people thought they were actually married in real life, leading to a few awkward situations if an actual significant other was around.
The Thin Man became a surprise hit, which lead to a string of sequels. Dashiell Hammett contributed stories to the first two sequels, and Van Dyke directed all of the pre-war Thin Man movies (he died in 1945). The series lost its oomph with the last two entries, but was revitalized in the 1950s as a television series (including an episode featuring Robby the Robot!) and occasionally we get a revival threatened. The concept is one that would lend itself to a great modern television series, it would just require two leads with explosive chemistry to pull it off.

I have watched a number of older detective series, and they harken back to the days when you could just barge into people’s homes and do all sorts of unsavory stuff. There were no CSI labs, and there is plenty of detectives messing up crime scenes by moving bodies, touching evidence, or “borrowing” clues for later. Yet there are also references to labs, showing there was some actual forensics work going on, even if the movies gloss over all of it. After wall, we got to have the big conclusion where Nick explains the entire crime to a crowded room of suspects only to reveal the murderer at the last second, that doesn’t really work if an out of date DNA sequencer matches a suspect before Nick’s decided if he’s even going to get off the couch and go detectiving.

Crystal structures, as found in the file:
-- begin --
Record 1
Compound: CrAgPt2
Source: the Alexandria database
Functional: GGA-PBE
Structure: optimized geometry

```
CrAgPt2
1.0
-2.403 0.351 -1.327
-1.321 -1.318 2.044
-1.065 6.876 3.745
Cr Pt Ag
1 2 1
Cartesian
-2.660 4.674 3.168
-0.564 3.640 1.983
-1.033 6.674 3.635
-2.128 1.236 1.295
```

## Properties
DFT formation energy	-0.1387	eV/atom
calculated total energy	-0.2307	Ha/atom
relative energy among the computed polymorphs	0.0	meV/atom

=====

Record 2
Compound: CrAgPt
Source: the Alexandria database
Functional: GGA-PBE
Structure: optimized geometry

```
CrAgPt
1.0
6.265 -0.011 0.011
5.662 2.682 0.020
0.603 0.127 2.690
Cr Pt Ag
1 1 1
Cartesian
4.261 0.949 1.831
8.332 1.864 0.876
11.864 2.657 0.046
```

## Properties
DFT formation energy	0.1605	eV/atom
calculated total energy	-0.2209	Ha/atom
relative energy among the computed polymorphs	53.2	meV/atom

=====

Record 3
Compound: Cr2AgPt
Source: the Alexandria database
Functional: GGA-PBE
Structure: optimized geometry

```
Cr2AgPt
1.0
-1.853 -3.801 -1.389
2.560 -3.267 -1.606
0.568 -3.740 2.345
Pt Cr Ag
1 2 1
Cartesian
0.319 -2.702 -0.162
0.956 -8.106 -0.487
0.000 0.000 0.000
0.637 -5.404 -0.325
```

## Properties
DFT formation energy	0.1996	eV/atom
calculated total energy	-0.2512	Ha/atom

=====

Record 4
Compound: CrAgPt2
Source: the Alexandria database
Functional: GGA-PBE
Structure: optimized geometry

```
CrAgPt2
1.0
7.135 0.000 0.000
0.000 7.135 0.000
3.567 3.567 2.702
Cr Ag Pt
2 2 4
Cartesian
3.567 3.567 0.000
3.567 7.135 1.351
7.135 3.567 1.351
0.000 0.000 0.000
5.143 1.784 0.676
1.992 5.351 0.676
8.918 8.710 2.027
5.351 5.559 2.027
```

## Properties
DFT formation energy	0.2778	eV/atom
calculated total energy	-0.2154	Ha/atom
relative energy among the computed polymorphs	416.5	meV/atom

=====

Record 5
Compound: CrAgPt2
Source: the Alexandria database
Functional: GGA-PBE
Structure: optimized geometry

```
CrAgPt2
1.0
4.820 -0.038 0.074
3.990 2.704 0.074
0.931 0.282 4.805
Pt Cr Ag
2 1 1
Cartesian
4.793 1.451 2.526
1.009 0.305 4.756
7.305 2.211 3.715
2.435 0.737 1.238
```

## Properties
DFT formation energy	0.0187	eV/atom
calculated total energy	-0.2249	Ha/atom
relative energy among the computed polymorphs	157.4	meV/atom

=====

Record 6
Compound: Cr2AgPt
Source: the Alexandria database
Functional: GGA-PBE
Structure: optimized geometry

```
Cr2AgPt
1.0
9.207 0.001 0.001
8.810 2.675 0.001
8.810 1.308 2.333
Cr Pt Ag
2 1 1
Cartesian
26.732 3.970 2.326
13.508 2.006 1.175
6.707 0.996 0.583
20.120 2.988 1.750
```

## Properties
DFT formation energy	0.3949	eV/atom
calculated total energy	-0.2440	Ha/atom

=====

Record 7
Compound: CrAgPt2
Source: the Alexandria database
Functional: GGA-PBE
Structure: optimized geometry

```
CrAgPt2
1.0
-3.801 -1.663 -1.731
-0.022 -4.094 -1.857
-2.113 -3.391 2.060
Pt Ag Cr
2 1 1
Cartesian
0.000 0.000 0.000
-1.484 -2.287 -0.382
-2.968 -4.574 -0.764
-4.452 -6.861 -1.146
```

## Properties
DFT formation energy	0.1134	eV/atom
calculated total energy	-0.2214	Ha/atom
-- stop --

Nick Charles (William Powell) – Retired detective now living the good life with the love of his life. Gets dragged back into the detective business and breaks the case, because he’s just that good at it. A big fan of drinking.
Nora Charles (Myrna Loy) – Wealthy heiress who married Nick out of love, and is the only one who can keep up with him both on the drinking and the quipping front. Encourages him to get back into detecting because she thinks it will be fun. |
Asta (Skippy) – The strong-willed dog of the Charles, who is both a brave finder of clues and a coward when the danger comes out. Enjoys playing with balloons. |
Dorothy Wynant (Maureen O’Sullivan) – Daughter of Clyde Wynant, who goes missing and then is accused of murder. She is set to be married, but after the troubles with her father she has a breakdown and begins to display a wild streak. Knew Nick from when she was a child and her father hired him. |
Lieutenant John Guild (Nat Pendleton) – Lead detective on the case who is more than happy to have Nick Charles help out, though he has his own theory and keeps finding evidence that supports his theory, instead of looking at it from an objective point of view. |
Mimi Wynant Jorgenson (Minna Gombell) – Former wife of Clyde Wynant, now married to Chris Jorgenson (Cesar Romero!), who doesn’t feel the need to work. Usually asks Clyde for money. Tries to cover up for him when she finds Julia Wolf’s body. Is the mother of Clyde’s two children, Dorothy and son Gilbert Wynant (William Henry) |
Clyde Wynant (Edward Ellis) – The titular Thin Man, who becomes prime suspect number one for a series of murders despite having been missing for several months. But there is more than meets the eye going on here! A cranky inventor who becomes too focused on his work and regularly hides away somewhere to develop new inventions. His marriage ended when he began his affair with his secretary, Julia Wolf (Natalie Moorhead). Both women seem more after Wynant’s money than Wynant himself. |